• zed_proclaimer [he/him]
      7 months ago

      "All sex is porn" is a symptom of porn brain. All sex is not porn. This is an extremely sex negative outlook fueled by shame and sex being bad. It's the exact same outlook that repressed sex freak victorians and puritans publicly espoused, that any type of sex in the public sphere is "pornographic" and obscene.

      Sex isn't always obscene, it can be natural and beautiful and hot and weird and awkward and fun and emotionally rewarding. Porn is obscene because it's transphobic, violent, racist, sexist, exploitative and filled with addiction and abuse. The knee jerk tendency to feel that all sex is obscene is due to overconsumption of porn leading to believing all sex is poison. It's a dialectical spiral where the more they believe sex is bad and evil, the more they try to purge it from their respectable public-facing life, the more it bubbles up as violent and abusive when they do have sex/masturbate in the shadows, they then feel shame afterwards once the libidinal urges die down, thus re-affirming their view that all sex is tainted and evil. You are feeding into this cycle when you say shit like "Any depiction of sex in art in public is basically pornography and serves no purpose, better to remove all sex from the acceptable public sphere. We have porn for that anyways".

      Part of this dialectical relationship is the more vigorously they are anti-sex and puritanical in public, the stronger the taboo and appeal of breaking those rules becomes. The freakiest and most abusive sex perverts are almost always uptight puritans in public, and it's not just projection or a cover-up strategy to blend in - although it has those functions too, they actually are coding their brain into getting off on violence and abuse by being so puritanical and creating the taboo they can later break. They are building up the tension to release during orgasm.

      The only way out and back to a healthy non-abusive mindset around sex is a widespread public acceptance of non-obscene sex. A much more relaxed and non-chalant attitude where sex isn't viewed as evil but as a natural biological act and and an act of eros and connection between two (or more) people. Porn will also have to be tightly censored and monitored to ween people off the sugar-hit addiction to violent abuse. Porn could be healthy theoretically in a different world, but not in this current one where it's injected with all the bigotries of our world heightened to an exaggerated extreme.

      • redtea@lemmygrad.ml
        7 months ago

        I see. That's a good comment in general. But it does make a lot of assumptions and it misquotes me. Maybe I could've said it more subtly. I'm talking about the stuff that is essentially porn smuggled into shows for no clear narrative reason, which seems to be the bulk of it.

        It's not porn brain to not want gratuitous sex in media it doesn't belong in, nor overly graphic depictions even where it has a narrative function, often involving characters who are supposed to be children.

        I've not considered this in any depth but it seems necessary to also consider the dialectic between art and porn and between art and a society in which the porn that you describe is ubiquitous. I don't see how we would get the TV sex scenes that we get if the porn industry did not exist. TV sex isn't generally selling sex as a beautiful part of healthy relationships.

        I think I completely agree with the need to change the way sex is dealt with/treated/spoken about in public. But that's what I'm saying: so much of sex on TV is doing the opposite. I can't see how we can resolve this without abolishing the commodity form. Until then, I'm going to complain about the symptom because the symptom is repackaging and normalising porn as art.

        I can understand why gen z when polled, if it wants the healthy sex thing that you're talking about (to the extent that a generation can want anything), would utterly reject depictions of sex in film, TV, etc. Sex on screen is often obscene; the option for the 'healthy' version isn't offered under capitalism. Those depictions are so far from positively contributing to a public discussion that they are, in a way, simply porn or, Zizek voice, pure ideology.

        • zed_proclaimer [he/him]
          7 months ago

          I didn’t mean that as a quote of you, I should have used ‘paraphrase’ instead of “quote” as it’s a sentiment I’ve seen expressed on Hexbear quite often.

          Don’t you see how attacking the existence of sex in public entertainment and art feeds into the puritanical sex freak spiral and doesn’t help us in any way? Sex scenes don’t all have to “forward the narrative” that’s plebeian Reddit tier art analysis I’m sorry, the narrative and plot aren’t even the most important part of a work. Sex scenes could be entirely gratuitous to the narrative and still add to the overall aesthetic and emotional impact of the piece, we use gratuitous slice-of-life and characterization footage all the time in our art and separating gratuitous sex out as “bad” is a double standard we don’t do with gratuitous eye candy scenes of other types like say, Wes Anderson’s gratuitous use of 2D dollhouse cutout type effects. That doesn’t “add to the narrative” either but is an essential part of what makes his work unique and his.

          I see sex scenes like guitar solos in rock songs. You can have one or two, and some are a lot better than others, but if you spend the whole song doing a solo without a melody it’s just wankery and becomes obscene. Guitar solos are just gratuitous ear candy. The “melody” here is analogous to the “narrative” of a film or TV show.

          Gratuitous sex is exactly the kind of thing that shouldn’t even make you blink, it’s the kind of thing we should be aiming to normalize. The fact you find it offensive and want it gone is proving my point, you find sexual gratification offputting inherently due to cultural conditioning. Sexual gratification and titillation is fine and healthy, there’s nothing wrong with being aroused. Tons of gratuitous sex in our media is perfectly fine and not a problem, and in my opinion American society is over correcting in the opposite way and needs to loosen up here not tighten the screws.

          • redtea@lemmygrad.ml
            7 months ago

            I don't want to be pedantic but 'narrative function' is not the same as 'forward the narrative'. Adding to a piece's emotional impact, developing a character's arc, 'worldbuilding', etc, count as having a narrative function.

            The sex in Sky Rojo or the Girl with the Dragon Tattoo (I'm thinking of the original movies) or in Sally Rooney's novel Normal People (I've not seen the adaptation)? Fine. Great, even. I don't even mind some of it in coming of age or slice of life if it's done right and doesn't sexualise children.

            The sex in Elite or Seven Deadly Sins? There's so much of it that there wouldn't be a story to salvage if you took it out. The orgy scenes in White Lines? Purely gratuitous and lazy way of portraying the decadence of rich people.

== These calculated crystals were left in the text by mistake ==
~~~
Diffraction record for TlHgF3. The X-ray diffraction stick pattern is simulated, not measured: it uses the PBE geometry in the Materials Project and Cu Kα (weighted mean of Kα1 and Kα2).
Neutral-atom scattering factors, no anomalous dispersion.

Most intense lines, 2θ from 15° to 90°, low angle first:
- 3.313 Å, 2θ = 26.9°, rel. 54, hkl 0 1 1
- 3.283 Å, 2θ = 27.2°, rel. 49, hkl 1 0 1
- 3.263 Å, 2θ = 27.3°, rel. 100, hkl 1 1 0
- 3.253 Å, 2θ = 27.4°, rel. 50, hkl 1 0 -1
- 3.228 Å, 2θ = 27.6°, rel. 48, hkl 0 1 -1
- 2.316 Å, 2θ = 38.9°, rel. 25, hkl 0 0 2
- 2.307 Å, 2θ = 39.0°, rel. 55, hkl 2 0 0
- 1.899 Å, 2θ = 47.9°, rel. 35, hkl -1 2 1
- 1.871 Å, 2θ = 48.7°, rel. 21, hkl 2 1 -1
- 1.868 Å, 2θ = 48.8°, rel. 22, hkl 1 2 -1

Crystal structure
```
data_TlHgF3
_chemical_formula_sum 'Tl1 Hg1 F3'
_symmetry_space_group_name_H-M 'P 1'
_symmetry_Int_Tables_number 1
_cell_length_a 4.612
_cell_length_b 4.618
_cell_length_c 4.634
_cell_angle_alpha 88.50
_cell_angle_beta 89.47
_cell_angle_gamma 89.85
loop_
_symmetry_equiv_pos_as_xyz
'x,y,z'
loop_
_atom_site_label
_atom_site_fract_x
_atom_site_fract_y
_atom_site_fract_z
Tl1 0.000 0.000 0.000
Hg1 0.476 0.532 0.452
F1 0.451 0.044 0.380
F2 0.465 0.600 0.938
F3 0.973 0.567 0.401
```

=====

Structure and computed X-ray powder pattern of LaPmCu2Ge2 (DFT lattice parameters and positions (PBE); CuKα).
Lines closer than 0.1° are merged.

Top 8 peaks for 2θ = 10–80°, in order of falling intensity:
d (Å), intensity
2.722, 100
2.159, 47
1.461, 25
1.691, 24
1.331, 21
1.247, 16
3.739, 12
1.985, 11

Structural model:
```
LaPmCu2Ge2
1.0
4.317 0.000 0.000
-2.159 3.739 0.000
0.000 0.000 7.938
La Pm Cu Ge
1 1 2 2
direct
0.000 0.000 0.000
0.000 0.000 0.500
0.333 0.667 0.736
0.667 0.333 0.264
0.333 0.667 0.257
0.667 0.333 0.743
```


Structure and computed X-ray powder pattern of La2PrCu2Ge2 (DFT lattice parameters and positions (PBE); CuKα).
Lines closer than 0.1° are merged.

Top 8 peaks for 2θ = 10–80°, in order of falling intensity:
d (Å), intensity
2.794, 100
2.173, 86
2.619, 81
1.449, 43
3.733, 29
1.715, 23
1.672, 21
1.346, 20

Structural model:
```
La2PrCu2Ge2
1.0
2.173 1.255 9.726
-2.173 1.255 9.726
0.000 -2.509 9.726
La Pr Cu Ge
2 1 2 2
direct
0.133 0.133 0.133
0.867 0.867 0.867
0.000 0.000 0.000
0.403 0.403 0.403
0.597 0.597 0.597
0.264 0.264 0.264
0.736 0.736 0.736
```


Structure and computed X-ray powder pattern of La3CuGeS7 (DFT lattice parameters and positions (PBE); CuKα).
Lines closer than 0.1° are merged.

Top 8 peaks for 2θ = 10–80°, in order of falling intensity:
d (Å), intensity
3.579, 100
2.592, 45
2.490, 41
2.232, 40
2.296, 34
3.902, 31
2.964, 28
3.393, 24

Structural model:
```
La3CuGeS7
1.0
10.366 0.000 0.000
-5.183 8.977 0.000
0.000 0.000 5.928
La Cu Ge S
6 2 2 14
direct
0.126 0.356 0.000
0.230 0.874 0.000
0.356 0.230 0.500
0.644 0.770 0.000
0.770 0.126 0.500
0.874 0.644 0.500
0.000 0.000 0.473
0.000 0.000 0.973
0.333 0.667 0.583
0.667 0.333 0.083
0.088 0.248 0.483
0.107 0.586 0.734
0.161 0.912 0.483
~~~

            I understand the quote thing. You're still making assumptions, about me and others, I think. I'm not sure if I had it in mind or whether I count it in the same category, but I also don't appreciate gratitous 'eye candy'. Sometimes it works. Often it's crass and feeds into problematic stereotypes, etc.

            Don’t you see how attacking the existence of sex in public entertainment and art feeds into the puritanical sex freak spiral and doesn’t help us in any way?

• What comes next are calculated crystals, not part of the page:
'''
Record 1
Starting from a DFT-relaxed cell (GGA-PBE, Alexandria), the X-ray diffraction stick pattern of Pm2HfSi3 was calculated for copper Kα.

Most intense lines, 15° ≤ 2θ ≤ 90°, by angle:
- 3.836 Å, 2θ 23.19, I 20.4, hkl 3 1 0
- 3.281 Å, 2θ 27.18, I 61.7, hkl 0 2 1
- 3.064 Å, 2θ 29.14, I 100.0, hkl 3 1 1
- 2.546 Å, 2θ 35.24, I 21.8, hkl 0 0 2
- 2.448 Å, 2θ 36.72, I 20.9, hkl 1 3 1
- 2.379 Å, 2θ 37.81, I 26.9, hkl 3 3 0
- 2.144 Å, 2θ 42.14, I 18.0, hkl 6 0 0
- 2.122 Å, 2θ 42.62, I 23.0, hkl 3 1 2
- 1.795 Å, 2θ 50.87, I 16.1, hkl 6 2 1
- 1.640 Å, 2θ 56.07, I 13.4, hkl 6 0 2

Structure:
```
data_Pm2HfSi3
_cell_length_a 12.8663
_cell_length_b 8.5783
_cell_length_c 5.0929
_cell_angle_alpha 90.00
_cell_angle_beta 90.00
_cell_angle_gamma 90.00
_symmetry_space_group_name_H-M 'C m c m'
_symmetry_Int_Tables_number 63
_symmetry_space_group_name_Hall '-C 2c 2'
loop_
_atom_site_label
_atom_site_type_symbol
_atom_site_fract_x
_atom_site_fract_y
_atom_site_fract_z
_atom_site_occupancy
Pm1 Pm 0.1476 0.1773 0.2500 1
Hf1 Hf 0.0000 0.3981 0.7500 1
Si1 Si 0.0000 0.0914 0.7500 1
Si2 Si 0.1743 0.5000 0.0000 1
```

=====

Record 2
Starting from a DFT-relaxed cell (GGA-PBE, Alexandria), the X-ray diffraction stick pattern of La3TlHg2 was calculated for copper Kα.

Most intense lines, 15° ≤ 2θ ≤ 90°, by angle:
- 2.796 Å, 2θ 32.01, I 100.0, hkl 1 0 3
- 2.757 Å, 2θ 32.48, I 48.5, hkl 1 1 0
- 2.006 Å, 2θ 45.21, I 9.5, hkl 0 0 6
- 1.949 Å, 2θ 46.59, I 18.0, hkl 2 0 0
- 1.622 Å, 2θ 56.76, I 19.5, hkl 1 1 6
- 1.599 Å, 2θ 57.65, I 38.0, hkl 2 1 3
- 1.398 Å, 2θ 66.94, I 11.9, hkl 2 0 6
- 1.265 Å, 2θ 75.10, I 8.3, hkl 1 0 9
- 1.236 Å, 2θ 77.16, I 8.2, hkl 3 0 3
- 1.233 Å, 2θ 77.41, I 8.2, hkl 3 1 0

Structure:
```
data_La3TlHg2
_cell_length_a 3.8986
_cell_length_b 3.8986
_cell_length_c 12.0349
_cell_angle_alpha 90.00
_cell_angle_beta 90.00
_cell_angle_gamma 90.00
_symmetry_space_group_name_H-M 'P 4/m m m'
_symmetry_Int_Tables_number 123
_symmetry_space_group_name_Hall '-P 4 2'
loop_
_atom_site_label
_atom_site_type_symbol
_atom_site_fract_x
_atom_site_fract_y
_atom_site_fract_z
_atom_site_occupancy
La1 La 0.0000 0.0000 0.0000 1
La2 La 0.0000 0.0000 0.3265 1
Tl1 Tl 0.5000 0.5000 0.5000 1
Hg1 Hg 0.5000 0.5000 0.1622 1
```

=====

Record 3
Starting from a DFT-relaxed cell (GGA-PBE, Alexandria), the X-ray diffraction stick pattern of Tm6Tl5Zn was calculated for copper Kα.

Most intense lines, 15° ≤ 2θ ≤ 90°, by angle:
- 2.642 Å, 2θ 33.93, I 51.1, hkl 2 0 -1
- 2.622 Å, 2θ 34.20, I 100.0, hkl 1 2 1
- 1.872 Å, 2θ 48.63, I 9.4, hkl 2 0 2
- 1.864 Å, 2θ 48.85, I 9.2, hkl 2 0 -4
- 1.840 Å, 2θ 49.54, I 8.8, hkl 0 4 0
- 1.523 Å, 2θ 60.81, I 19.4, hkl 3 2 0
- 1.520 Å, 2θ 60.96, I 19.0, hkl 3 2 -3
- 1.510 Å, 2θ 61.40, I 18.6, hkl 2 4 -1
- 1.321 Å, 2θ 71.40, I 5.9, hkl 4 0 -2
- 1.165 Å, 2θ 82.82, I 8.0, hkl 1 6 1

Structure:
```
data_Tm6Tl5Zn
_cell_length_a 5.2834
_cell_length_b 7.3600
_cell_length_c 8.3456
_cell_angle_alpha 90.00
_cell_angle_beta 108.21
_cell_angle_gamma 90.00
'''

            Possibly, but I'm not sure that I am making that attack.